What to do.
Next, find the line below that holds "0.3727)", then print that line and all lines after it there.
Entries.
********
A relaxed ThIn2Cl6 crystal. Source: Alexandria, functional PBE.

Unit cell a=7.8959 b=7.7524 c=12.1284 alpha=94.17 beta=90.00 gamma=90.00
Last column: nearest neighbours and their distance in Å.
Fractional coordinates of all 18 atoms:
Th (0.5000, 0.5000, 0.0000)  6 Cl 2.70
Th (0.0000, 0.0000, 0.5000)  6 Cl 2.70
In (0.5408, 0.0194, 0.1999)  6 Cl 3.16-3.28
In (0.0408, 0.4806, 0.3001)  6 Cl 3.16-3.28
In (0.9592, 0.5194, 0.6999)  6 Cl 3.16-3.28
In (0.4592, 0.9806, 0.8001)  6 Cl 3.16-3.28
Cl (0.1456, 0.1573, 0.6823)  1 Th 2.70
Cl (0.2359, 0.1393, 0.3727)  1 Th 2.70
Cl (0.3201, 0.2064, 0.0172)  1 Th 2.70
Cl (0.8201, 0.2936, 0.4828)  1 Th 2.70
Cl (0.7359, 0.3607, 0.1273)  1 Th 2.70
Cl (0.6456, 0.3427, 0.8177)  1 Th 2.70
Cl (0.8544, 0.8427, 0.3177)  1 Th 2.70
Cl (0.7641, 0.8607, 0.6273)  1 Th 2.70
Cl (0.6799, 0.7936, 0.9828)  1 Th 2.70
Cl (0.1799, 0.7064, 0.5172)  1 Th 2.70
Cl (0.2641, 0.6393, 0.8727)  1 Th 2.70
Cl (0.3544, 0.6573, 0.1823)  1 Th 2.70

Computed properties:
**Total moment**: 0.000 μB/atom
**E_form (uncorrected)**: -1597 meV/atom
**Space group**: P2_1/c
**Calculated volume**: 740.4 Å³/cell

***

A relaxed ThIn3Cl8 crystal. Source: Alexandria, functional PBE.

Unit cell a=7.0550 b=7.0550 c=7.0550 alpha=90.00 beta=90.00 gamma=90.00
Last column: nearest neighbours and their distance in Å.
Fractional coordinates of all 12 atoms:
Th (0.0000, 0.0000, 0.0000)  8 Cl 2.85
In (0.5000, 0.5000, 0.0000)  8 Cl 3.13
In (0.5000, 0.0000, 0.5000)  8 Cl 3.13
In (0.0000, 0.5000, 0.5000)  8 Cl 3.13
Cl (0.2331, 0.2331, 0.7669)  1 Th 2.85, 3 In 3.13
Cl (0.2331, 0.7669, 0.2331)  1 Th 2.85, 3 In 3.13
Cl (0.7669, 0.2331, 0.2331)  1 Th 2.85, 3 In 3.13
Cl (0.7669, 0.7669, 0.7669)  1 Th 2.85, 3 In 3.13
Cl (0.7669, 0.7669, 0.2331)  1 Th 2.85, 3 In 3.13
Cl (0.7669, 0.2331, 0.7669)  1 Th 2.85, 3 In 3.13
Cl (0.2331, 0.7669, 0.7669)  1 Th 2.85, 3 In 3.13
Cl (0.2331, 0.2331, 0.2331)  1 Th 2.85, 3 In 3.13

Computed properties:
**Total moment**: 0.000 μB/atom
**E_form (uncorrected)**: -1336 meV/atom
**Space group**: Pm-3m
**Calculated volume**: 351.1 Å³/cell

***

A relaxed ThInCl6 crystal. Source: Alexandria, functional PBE.

Unit cell a=4.0657 b=8.4570 c=8.4570 alpha=117.31 beta=90.00 gamma=90.00
Last column: nearest neighbours and their distance in Å.
Fractional coordinates of all 8 atoms:
Th (0.0000, 0.9904, 0.0096)  8 Cl 2.76-2.89
In (0.5000, 0.5133, 0.4867)  2 Cl 2.67
Cl (0.0000, 0.6227, 0.7929)  1 Th 2.79, 2 In 3.08
Cl (0.0000, 0.2071, 0.3773)  1 Th 2.79, 2 In 3.08
Cl (0.0000, 0.6327, 0.3673)  2 In 2.67
Cl (0.5000, 0.9142, 0.7415)  2 Th 2.89, 1 Cl 3.03, 1 In 3.07
Cl (0.5000, 0.2585, 0.0858)  2 Th 2.89, 1 Cl 3.03, 1 In 3.07
Cl (0.5000, 0.8610, 0.1390)  2 Th 2.76

Computed properties:
**Total moment**: 0.119 μB/atom
**E above lowest polymorph**: 45 meV/atom
**E_form (uncorrected)**: -1586 meV/atom
**Space group**: Amm2
**Calculated volume**: 258.4 Å³/cell

***

A relaxed ThIn3Cl6 crystal. Source: Alexandria, functional PBE.

Unit cell a=7.5621 b=7.9154 c=12.6304 alpha=89.69 beta=90.00 gamma=90.00
Last column: nearest neighbours and their distance in Å.
Fractional coordinates of all 20 atoms:
Th (0.5000, 0.5000, 0.5000)  6 Cl 2.67-2.72
Th (0.0000, 0.0000, 0.0000)  6 Cl 2.67-2.72
In (0.2103, 0.4915, 0.1967)  3 Cl 3.16-3.45, 1 In 3.31
In (0.5000, 0.5000, 0.0000)  4 Cl 3.09-3.41, 2 In 3.31
In (0.7897, 0.5085, 0.8033)  3 Cl 3.16-3.45, 1 In 3.31
In (0.2897, 0.9915, 0.6967)  3 Cl 3.16-3.45, 1 In 3.31
In (0.0000, 0.0000, 0.5000)  4 Cl 3.09-3.41, 2 In 3.31
In (0.7103, 0.0085, 0.3033)  3 Cl 3.16-3.45, 1 In 3.31
Cl (0.8543, 0.2764, 0.0921)  1 Th 2.72
Cl (0.8144, 0.3481, 0.4928)  1 Th 2.67
Cl (0.9418, 0.1369, 0.8052)  1 Th 2.72
Cl (0.0582, 0.8631, 0.1948)  1 Th 2.72
Cl (0.1856, 0.6519, 0.5072)  1 Th 2.67
Cl (0.1457, 0.7236, 0.9079)  1 Th 2.72
Cl (0.6457, 0.7764, 0.5921)  1 Th 2.72
Cl (0.6856, 0.8481, 0.9928)  1 Th 2.67
Cl (0.5582, 0.6369, 0.3052)  1 Th 2.72
Cl (0.4418, 0.3631, 0.6948)  1 Th 2.72
Cl (0.3144, 0.1519, 0.0072)  1 Th 2.67
********
Worked solution.
Cl (0.2359, 0.1393, 0.3727)  1 Th 2.70
Cl (0.3201, 0.2064, 0.0172)  1 Th 2.70
Cl (0.8201, 0.2936, 0.4828)  1 Th 2.70
Cl (0.7359, 0.3607, 0.1273)  1 Th 2.70
Cl (0.6456, 0.3427, 0.8177)  1 Th 2.70
Cl (0.8544, 0.8427, 0.3177)  1 Th 2.70
Cl (0.7641, 0.8607, 0.6273)  1 Th 2.70
Cl (0.6799, 0.7936, 0.9828)  1 Th 2.70
Cl (0.1799, 0.7064, 0.5172)  1 Th 2.70
Cl (0.2641, 0.6393, 0.8727)  1 Th 2.70
Cl (0.3544, 0.6573, 0.1823)  1 Th 2.70

Computed properties:
**Total moment**: 0.000 μB/atom
**E_form (uncorrected)**: -1597 meV/atom
**Space group**: P2_1/c
**Calculated volume**: 740.4 Å³/cell

***

A relaxed ThIn3Cl8 crystal. Source: Alexandria, functional PBE.

Unit cell a=7.0550 b=7.0550 c=7.0550 alpha=90.00 beta=90.00 gamma=90.00
Last column: nearest neighbours and their distance in Å.
Fractional coordinates of all 12 atoms:
Th (0.0000, 0.0000, 0.0000)  8 Cl 2.85
In (0.5000, 0.5000, 0.0000)  8 Cl 3.13
In (0.5000, 0.0000, 0.5000)  8 Cl 3.13
In (0.0000, 0.5000, 0.5000)  8 Cl 3.13
Cl (0.2331, 0.2331, 0.7669)  1 Th 2.85, 3 In 3.13
Cl (0.2331, 0.7669, 0.2331)  1 Th 2.85, 3 In 3.13
Cl (0.7669, 0.2331, 0.2331)  1 Th 2.85, 3 In 3.13
Cl (0.7669, 0.7669, 0.7669)  1 Th 2.85, 3 In 3.13
Cl (0.7669, 0.7669, 0.2331)  1 Th 2.85, 3 In 3.13
Cl (0.7669, 0.2331, 0.7669)  1 Th 2.85, 3 In 3.13
Cl (0.2331, 0.7669, 0.7669)  1 Th 2.85, 3 In 3.13
Cl (0.2331, 0.2331, 0.2331)  1 Th 2.85, 3 In 3.13

Computed properties:
**Total moment**: 0.000 μB/atom
**E_form (uncorrected)**: -1336 meV/atom
**Space group**: Pm-3m
**Calculated volume**: 351.1 Å³/cell

***

A relaxed ThInCl6 crystal. Source: Alexandria, functional PBE.

Unit cell a=4.0657 b=8.4570 c=8.4570 alpha=117.31 beta=90.00 gamma=90.00
Last column: nearest neighbours and their distance in Å.
Fractional coordinates of all 8 atoms:
Th (0.0000, 0.9904, 0.0096)  8 Cl 2.76-2.89
In (0.5000, 0.5133, 0.4867)  2 Cl 2.67
Cl (0.0000, 0.6227, 0.7929)  1 Th 2.79, 2 In 3.08
Cl (0.0000, 0.2071, 0.3773)  1 Th 2.79, 2 In 3.08
Cl (0.0000, 0.6327, 0.3673)  2 In 2.67
Cl (0.5000, 0.9142, 0.7415)  2 Th 2.89, 1 Cl 3.03, 1 In 3.07
Cl (0.5000, 0.2585, 0.0858)  2 Th 2.89, 1 Cl 3.03, 1 In 3.07
Cl (0.5000, 0.8610, 0.1390)  2 Th 2.76

Computed properties:
**Total moment**: 0.119 μB/atom
**E above lowest polymorph**: 45 meV/atom
**E_form (uncorrected)**: -1586 meV/atom
**Space group**: Amm2
**Calculated volume**: 258.4 Å³/cell

***

A relaxed ThIn3Cl6 crystal. Source: Alexandria, functional PBE.

Unit cell a=7.5621 b=7.9154 c=12.6304 alpha=89.69 beta=90.00 gamma=90.00
Last column: nearest neighbours and their distance in Å.
Fractional coordinates of all 20 atoms:
Th (0.5000, 0.5000, 0.5000)  6 Cl 2.67-2.72
Th (0.0000, 0.0000, 0.0000)  6 Cl 2.67-2.72
In (0.2103, 0.4915, 0.1967)  3 Cl 3.16-3.45, 1 In 3.31
In (0.5000, 0.5000, 0.0000)  4 Cl 3.09-3.41, 2 In 3.31
In (0.7897, 0.5085, 0.8033)  3 Cl 3.16-3.45, 1 In 3.31
In (0.2897, 0.9915, 0.6967)  3 Cl 3.16-3.45, 1 In 3.31
In (0.0000, 0.0000, 0.5000)  4 Cl 3.09-3.41, 2 In 3.31
In (0.7103, 0.0085, 0.3033)  3 Cl 3.16-3.45, 1 In 3.31
Cl (0.8543, 0.2764, 0.0921)  1 Th 2.72
Cl (0.8144, 0.3481, 0.4928)  1 Th 2.67
Cl (0.9418, 0.1369, 0.8052)  1 Th 2.72
Cl (0.0582, 0.8631, 0.1948)  1 Th 2.72
Cl (0.1856, 0.6519, 0.5072)  1 Th 2.67
Cl (0.1457, 0.7236, 0.9079)  1 Th 2.72
Cl (0.6457, 0.7764, 0.5921)  1 Th 2.72
Cl (0.6856, 0.8481, 0.9928)  1 Th 2.67
Cl (0.5582, 0.6369, 0.3052)  1 Th 2.72
Cl (0.4418, 0.3631, 0.6948)  1 Th 2.72
Cl (0.3144, 0.1519, 0.0072)  1 Th 2.67